5 Simple Steps to Write Every Day

Readers of my blog will know I struggle with self-discipline as a writer. A lot. And, while I understood the benefits of writing every day and do think it’s a good idea, I just couldn’t work out how people put it into practice. Just get your bum in the chair and do it, right? Yeah, ’cause it’s that easy.

Well, things have changed.

For just over a month, now, I have written every single day.

For me this is a huge achievement. I don’t think I’ve ever written every single day for this long before.

And I have James Clear to thank for it.

I ‘trialled’ the method he explains in: Transform Your Habits and it actually works. For realsies.

So in case you don’t want to read the whole thing, here’s how it works in 5 steps:

Step 1: List stuff you do every single day without fail (e.g. wake up, brush teeth, wee) and stuff that happens to you every single day without fail (e.g. sun rises, sun sets, kettle takes FOREVER to boil).

Step 2: Pick one to latch your new habit onto (i.e. when you do this/when this happens to you, you will write.) Mine is dinner. After dinner, I make a cup of tea (it’s a sort of ritual, I guess) and then I write.

Step 3: Start small – it has to take less than two minutes. You don’t want it to require any willpower whatsoever. For example, on my first day, all I had to do was open the document I’m working on and read some of it. I couldn’t argue with that.

Step 4: When you’ve written (or read) for two minutes, congratulate yourself. Sure, you may have only written two words but it’s two words you probably would not have written, otherwise. Go you! (This is positive affirmation and will help in building the habit. Think of it as your reward. Sometimes I give myself a physical reward, too, such as chocolate. And there’s always tea on hand, so that helps.)

Step 5: Keep at it. If you come across a day when you don’t want to write, go back to that first day mentality – all you have to do is whatever it is that takes two minutes (for me, open and read).

Some days you’ll naturally want to keep going for longer (occasionally I can manage 45 mins – an hour). Others you won’t (sometimes 5 mins is my limit). Don’t force yourself. As long as you do it every day you’re building up the habit and that’s the most important thing. You never want to get to that point when you can talk yourself out of it (e.g. ‘You have to write for 30 mins.’ + ‘But I don’t wanna.’ = Not writing AT ALL.)

There are a couple of problems I’ve come across with this method.

  1. Eating out
  2. Limiting myself to only writing after dinner, which sometimes is quite late so may stop me writing for as long.

The first one I’ve overcome by writing as soon as I get home. Besides, I don’t eat out that often so it should be fine.

The second one worries me a little. I can easily say to myself, ‘don’t write now because then you might not want to write after dinner and you HAVE to write after dinner.’ Maybe this means I’m not writing as much as I could. As long as I am writing every day, though, does that matter? Also, in a way it’s encouraging that my mind is telling me to write after dinner and accepts that as non-negotiable. In fact, there have been a couple of days when I have felt an urge to write on finishing dinner. It’s pretty weird because I know I’ve done that to myself but that’s what I’m aiming for so…good.


Don’t Tell me What, Tell me How

Hello, Happy New Year, sorry for not posting in a while and all that.

Something’s bugging me, so I’m going to get right down to business.

It’s business time.

Blogs about writing. I’m not talking about updates on the blogger’s writing, here, but advice. From writers to writers through the medium of a blog.

The problem I consistently have is this:

The blog describes your problem. (Unless it has a misleading title or is poorly tagged or you’re just having a stupid moment and forgot how to read and interpret words. But no, let’s assume the blog is written about the problem which you are currently facing. In my case, this would be discipline/self-motivation – surprise surprise. How’s my New Year’s Resolution to write every day going? *High pitched* Well…)

As you’re reading the description of your problem, you find yourself getting your hopes up. Yes, you think, that is exactly the problem I am having. It’s like this person is reading my mind right now. This is amazing. They are going to cure EVERYTHING.

(You assume that because they understand your problem so completely that they’ll be able to tell you exactly how to overcome it. Perhaps this isn’t reasonable but you’re desperate. You’re done trying to solve it alone. You’ve googled this shit. Maybe you’ve gone a step further and used some kind of writing advice search tool.* Either way, shit has got real.)

You keep reading. The blog moves on to tell you what you need to do to solve this problem. Write every day. Silence your inner critic. Set yourself a deadline. Whatever. It’s the usual crap, you’ve heard it all before. But maybe…maybe there’s one special piece of advice. The golden nugget. The magic key. It will be here. At the end of the blog post. You know it…oh.

It isn’t there.

You re-read. Did you miss it? Was it tucked away somewhere?


Because the problem is they’ve given you a list of things you should try. What you should do. But they haven’t told you how.

How do you write every day?

Er…hmm…no I don’t know. Can’t manage it, myself. Some people seem to just…do it. Could those lucky people please tell me how? Please?

Maybe they do it by silencing their inner critic.

Again – how? Is there a switch somewhere that I’m missing? Behind my ear? No? Sorry – can’t do it either. Except for those rare occasions when it just…happens. If there’s a way of making that happen or at least encouraging it, that’d be good to know. Not much good you telling me to do it, though, unless you tell me how.

Maybe setting yourself a deadline would help you silence your inner critic and write everyday. But, again, how do you set yourself a deadline? OK, this one is actually easy. You write it in your calendar. Stick it on your wall. Set a reminder on your phone. Easy peasy. Right? Thing is, though, who’s making you keep to this deadline? What happens if you miss it?


So why should you care?

You shouldn’t. There is no reason to. It doesn’t matter if you miss your deadline – there will be no consequences. OK, there’ll be the consequence of you not writing everyday and not improving as a writer and not getting one step closer to your goal. But really, is that a noticeable consequence? I don’t think it is. It’s actually very easy to ignore.

The real question is: how do you set yourself a deadline and stick to it? How do you create real consequences when there are none? You can make some stuff up about rewards and punishments but, at the end of the day, who’s dishing those bad boys out? You are. You could reward yourself if you fail or – no idea why you would but it’s theoretically possible – punish yourself when you succeed. No-one’s going to stop you from eating that brownie a little early or catching up on your fav. TV programme when you haven’t written a word. I sat at my desk and opened my laptop! I showed up! That’s totally a step in the right direction – I should reward myself and watch Bob’s Burgers NOW. I can write later. After I’m all inspired.

Yeah. Cause that’s gonna happen.

I don’t have the answers. I’m not pretending to. And yes, I appreciate you trying to help but the thing is…you’re not.

Because I have heard that advice before and it didn’t help me any of those times either and, while, yes I can see that it is theoretically a great idea and would completely work…I just can’t make myself apply it. In, you know, the real world. It just doesn’t happen.

Maybe I should just stop whining about it. Maybe I should accept the fact that every writer is different and what works for you may not work for me and I just have to find my own way of doing it. But then again you’re someone who’s had my problem and has overcome it and all you can tell me is the same old advice I’ve heard over and over again? What about personal experience? How did YOU overcome it? How did YOU make yourself follow this advice?



So, in conclusion, my message is this. If you’re writing a blog post about how to overcome some common problem we writers face (and let’s face it – we’re a problematic bunch) don’t just compile a list of what to dos that the person will have already read/absorbed through the ether, explain how to do them. Or, better, yet, explain how YOU did them. In practice. How YOU REALLY overcame the problem. Give it the personal touch.

And, finally, to the people who can do discipline and self-motivation and writing every day, I implore you: tell me how!

*I use Writers’ Knowledge Base but I’m starting to think it’s more a curse than a blessing. My first creative writing tutor said that thesauruses are a curse. Why? Because they send you off on a crazy rabbit hunt in search of the perfect word. That word doesn’t exist. But the thesaurus says otherwise. It makes promises it can’t fulfill. Now, I love thesauruses and therefore cannot agree with him – I guess he hates them because he has a problem with them which I don’t have – but I’m starting to think the Writers’ Knowledge Base (I’m using it as an example because it’s the one I use – I don’t mean it specifically) is my thesaurus. Hummm…

The Magic Solution to Staying Motivated and Achieving Your Writing Goals


Normally I don’t shout (use capslock) but this is a shouting situation. Because that really is the answer and if you want something more magical and simple and foolproof than that – you’re out of luck. Sorry.

And I know. I’ve been there. In fact, I’m there now. I’m writing a blog post about getting on with your writing to avoid getting on with mine. So I’m with you. It’s hard. And I too want a magical solution. The golden key to success. But you know what? It doesn’t exist. This is the closest there is – the cold, hard, ugly truth. And I know it doesn’t exist because I’ve looked. Every time I don’t feel like writing I think, ‘hey, you know what would be a great idea, finding out how to motivate myself by googling it’ and every time I look I find the same old bullshit.

• Misplaced calculated molecules:
........
A) {
  "formula": "C2H2FP",
  "method": "ωB97M-V/def2-TZVPD",
  "smiles": "FC1=C=[PH2]1",
  "gap_ev": [8.2327, 8.2860],
  "molar_mass_g_mol": 76.01,
  "spin_multiplicity": 1,
  "elements": ["F", "C", "C", "P", "H", "H"],
  "positions_angstrom": [[-3.935, 0.500, 0.118], [-2.698, 0.141, -0.264], [-2.004, -1.528, -0.728], [-1.101, -0.144, 0.197], [-1.082, -0.202, 1.604], [-0.585, 1.153, -0.211]],
  "mulliken_charge": [-0.178, 0.226, -0.200, -0.005, 0.073, 0.084]
}


B) {
  "formula": "C2H2FP",
  "method": "ωB97M-V/def2-TZVPD",
  "gap_ev": [7.6260, 7.6266],
  "molar_mass_g_mol": 76.01,
  "spin_multiplicity": 1,
  "elements": ["C", "C", "F", "P", "H", "H"],
  "positions_angstrom": [[0.618, 0.963, 0.765], [-0.822, -1.017, 0.353], [0.689, 0.167, -1.859], [-0.379, 0.360, -0.512], [0.136, 1.309, 1.607], [-0.243, -1.782, -0.355]],
  "mulliken_charge": [-0.330, -0.278, -0.333, 0.469, 0.286, 0.187]
}


C) {
  "formula": "C2H2FP",
  "method": "ωB97M-V/def2-TZVPD",
  "gap_ev": [7.2788, 7.2333],
  "molar_mass_g_mol": 76.01,
  "spin_multiplicity": 1,
  "elements": ["C", "C", "F", "P", "H", "H"],
  "positions_angstrom": [[0.746, -0.847, -0.551], [-0.094, -0.058, 0.423], [0.849, -0.314, -1.813], [-1.410, 1.507, 0.051], [-0.746, -0.699, 0.944], [0.656, 0.411, 0.947]],
  "mulliken_charge": [-0.105, -0.558, -0.134, 0.135, 0.342, 0.320]
}


Energies, relative to the best one, in kcal/mol: A) 41.5; B) 7.4; C) 0.0.


A) {
  "formula": "C3H4O3Rb",
  "method": "ωB97M-V/def2-TZVPD",
  "gap_ev": [1.9203, 1.9216],
  "molar_mass_g_mol": 173.53,
  "total_charge": -1,
  "spin_multiplicity": 1,
  "elements": ["O", "C", "O", "O", "C", "H", "C", "H", "H", "Rb", "H"],
  "positions_angstrom": [[0.221, 1.679, -0.387], [1.221, 0.715, -0.488], [1.105, -0.281, 0.269], [2.095, 0.956, -1.316], [-1.021, 1.265, 0.046], [-1.229, 1.463, 1.104], [-1.983, 0.911, -0.830], [-1.736, 0.747, -1.882], [-2.969, 0.624, -0.459], [-0.413, -2.232, 1.440], [-3.184, 2.777, -2.282]],
  "mulliken_charge": [-0.349, 0.480, -0.722, -0.688, -0.181, 0.303, -0.674, 0.242, 0.115, 0.722, -0.248]
}


B) {
  "formula": "C3H4O3Rb",
  "method": "ωB97M-V/def2-TZVPD",
  "gap_ev": [5.6186, 5.6191],
  "molar_mass_g_mol": 173.53,
  "total_charge": -1,
  "spin_multiplicity": 1,
  "elements": ["C", "O", "C", "C", "O", "O", "H", "H", "H", "H", "Rb"],
  "positions_angstrom": [[4.115, 11.718, -0.542], [3.092, 9.540, -0.300], [1.827, 9.857, -0.834], [3.987, 10.523, 0.090], [1.646, 11.028, -1.173], [1.225, 8.811, -1.153], [4.041, 12.600, 0.100], [4.766, 11.190, -1.381], [4.136, 10.453, 1.171], [2.605, 3.204, -0.218], [2.100, 5.926, -0.559]],
  "mulliken_charge": [-0.699, -0.271, 0.572, -0.109, -0.597, -0.643, 0.262, 0.258, 0.316, -0.387, 0.297]
}


Energies, relative to the best one, in kcal/mol: A) 0.0; B) 11.1.


A) {
  "formula": "C26H74N4O14",
  "method": "ωB97M-V/def2-TZVPD",
  "smiles": "COC[C@H](C)N.COC[C@H](C)N.COC[C@H](C)N.COC[C@H](C)N.OCCO.OCCO.OCCO.OCCO.OCCO",
  "gap_ev": 8.5869,
........
• End of the calculated molecules:

For example:

1) Set goals. I know how to set goals. I’m awesome at setting goals. What I need help with is actually working towards the goals. You know – doing something.

2) Hold yourself accountable. Great. How? If I don’t have the self-discipline to not skip a day, do you really think I do have the self-discipline to punish myself in some way? I don’t even know how I could do that – not give myself the reward I already gave myself because I’ll probably do the thing I’m meant to do and I deserve it anyway? Which leads me to…

3) Reward yourself. This is great until you get your reward and it’s sitting there looking at you and you think ‘ah, I’ve started, I deserve one’ and before you know it you’ve eaten the whole box and written one word. If that. (Yes my reward invariably involves food. Usually brownie bites.)

The truth is if you lack self-discipline, none of these things will help you because none of them can actually force you to stop procrastinating and start writing. The only thing, in my experience, that has ever worked is a deadline. And when I say a deadline, I don’t mean a deadline that you made up and it doesn’t really matter if you keep it or not I mean a real deadline such as a coursework deadline that makes the difference between passing and failing a degree. That will motivate you. But at the end of the day, you’ll still procrastinate if you’re that way inclined, until the last possible moment, which varies – for me it’s about a week before, for others it’s more like 5 hours before. But you’ll get it done because you have to. If you don’t have to and you lack self-discipline you won’t. Unless you just bloody well get on with it.

So stop looking up tips and advice on motivation and finishing your novel. None of these will help you and you’re not helping yourself – you’re fooling yourself because, NEWSFLASH, you’re procrastinating and there’s only one surefire way to stop doing that and start writing and that’s to stop procrastinating and start writing. A.k.a.


A Treasure Map

Last week, I stumbled across an invaluable blog post by C. S. Lakin, entitled Essential Strategic Planning for Writers—Looking Ahead to 2013 and, in the spirit of doing things as they come up, promptly created my own strategic map, which I like to think of as a treasure map because if I follow it, it will lead to treasure. Abstract treasure, at first, but in 5 years time, I’m aiming for real treasure. Money.

Spurred on my this success, I also finished re-plotting Mother Stands for Comfort, which means I am now ready to rewrite. I’m excited but also a little daunted by the prospect. My plan had me beginning in the New Year, because I thought it would take longer to finish the re-plot, but seeing as I’m ready to go, now, why not get ahead?

And I’ve just 5 minutes ago thought up a reward system to keep me motivated. So a big part of the plan/map is to get into the habit of writing every day. But you know how it goes, some days you just don’t want to. So, whenever I specifically want to do something, such as read or watch an episode of something or listen to a certain song (which tends to happen in the middle of yet another tedious application form or when I’ve been staring at my Personal Profile for half an hour, trying to make it ‘sell myself’) I will stop what I’m doing, fulfil my writing quota (which is going to be 1,000 words a day in January but I might warm up to that with ‘anything’) and then do the thing I want to do. What do you think? Good idea?

Do you have any plans for 2013, yet? If so, how are you going to motivate yourself to stay on track?

(Someone pasted records of molecules at this point)
[1]
The following is a DFT calculation (ωB97M-V with the def2-TZVPD basis set) of C41H68AsI2N8OSi6TeZn as an isolated structure in a non-equilibrium geometry.

Positions of all 129 atoms, in Å:
Zn  -1.307  -1.395  0.133
I  -2.788  -3.249  4.638
C  -1.368  -4.009  3.298
C  -0.841  -5.283  3.466
C  0.058  -5.776  2.552
I  0.800  -7.734  2.864
C  0.466  -5.018  1.439
C  1.381  -5.442  0.451
C  1.690  -4.615  -0.594
C  1.079  -3.358  -0.673
N  0.228  -2.928  0.228
C  -0.086  -3.717  1.281
C  -1.033  -3.169  2.229
O  -1.529  -2.002  2.077
H  -1.136  -5.888  4.311
H  1.835  -6.420  0.530
H  2.386  -4.920  -1.363
H  1.287  -2.689  -1.498
C  -5.731  2.988  1.927
C  -4.738  3.938  1.251
C  -4.824  3.821  -0.271
C  -3.300  3.772  1.762
N  -2.589  2.636  1.216
C  -2.937  1.360  1.036
N  -1.927  0.722  0.508
N  -0.927  1.624  0.386
N  -1.316  2.767  0.783
H  -6.750  3.350  1.788
H  -5.543  2.923  3.000
H  -5.682  1.982  1.509
H  -5.017  4.961  1.523
H  -4.595  2.809  -0.605
H  -4.129  4.507  -0.759
H  -5.833  4.066  -0.604
H  -3.301  3.707  2.852
H  -2.710  4.642  1.475
H  -3.883  0.915  1.286
C  -1.338  -3.081  -3.814
Si  -3.029  -3.177  -2.939
C  -4.261  -2.235  -4.053
C  -3.542  -5.003  -3.151
As  -3.059  -2.873  -0.619
Si  -5.016  -1.665  -0.273
C  -5.118  -1.296  1.593
C  -6.530  -2.793  -0.558
C  -5.368  -0.036  -1.228
H  -1.374  -3.601  -4.773
H  -0.570  -3.558  -3.202
H  -1.018  -2.058  -4.002
H  -4.222  -2.605  -5.080
H  -4.070  -1.160  -4.080
H  -5.280  -2.379  -3.686
H  -3.552  -5.331  -4.193
H  -4.539  -5.152  -2.729
H  -2.857  -5.644  -2.592
H  -5.382  -2.218  2.114
H  -5.872  -0.545  1.844
H  -4.153  -0.983  1.999
H  -6.419  -3.681  0.067
H  -6.592  -3.134  -1.594
H  -7.473  -2.308  -0.298
H  -4.447  0.519  -1.423
H  -6.054  0.624  -0.693
H  -5.821  -0.260  -2.196
C  4.294  -2.134  4.565
Si  3.916  -0.303  4.903
C  2.636  -0.279  6.308
C  5.522  0.430  5.626
Si  3.154  0.798  2.968
Te  1.000  -0.213  2.305
Si  2.647  3.030  3.466
C  2.154  4.033  1.934
C  4.033  4.011  4.332
C  1.147  3.110  4.628
Si  4.798  0.696  1.302
C  6.465  1.393  1.899
C  4.345  1.680  -0.261
C  5.158  -1.090  0.759
H  4.551  -2.681  5.474
H  5.128  -2.236  3.867
H  3.428  -2.622  4.113
H  2.910  -0.942  7.132
H  1.663  -0.600  5.929
H  2.514  0.727  6.716
H  5.784  -0.007  6.593
H  5.427  1.509  5.761
H  6.359  0.259  4.947
H  2.974  4.090  1.213
H  1.866  5.056  2.189
H  1.309  3.563  1.432
H  4.958  3.979  3.753
H  4.249  3.593  5.318
H  3.765  5.061  4.470
H  0.302  2.599  4.163
H  0.842  4.135  4.855
H  1.353  2.602  5.572
H  6.351  2.421  2.250
H  7.227  1.395  1.116
H  6.853  0.807  2.734
H  4.502  2.748  -0.097
H  3.290  1.546  -0.511
H  4.936  1.388  -1.132
H  5.570  -1.665  1.591
H  5.873  -1.144  -0.065
H  4.244  -1.597  0.441
N  0.514  1.832  -6.099
C  1.383  2.251  -7.073
C  1.197  2.695  -8.374
C  2.335  3.023  -9.090
C  3.611  2.904  -8.527
C  3.795  2.459  -7.232
C  2.662  2.130  -6.488
N  2.548  1.649  -5.209
C  1.268  1.474  -5.002
(Here the text continues)

The Chronic Hiatus

I’m a bit distracted right now because my laptop is burning up and whirring loudly. In fact, I’m sure I just heard him groan. Cool your beans, Mr Laptop, I’m worried about you. Maybe I’m working him too hard. Poor thing.

Right, both Mr Laptop (this is a new name for it, btw) and myself have had a rest. He is now cool and quiet. So, on with the point of this post: the hiatus.

It’s becoming a serious problem. I think I need help. Some goals or new regime or something to make me start writing again. Well, re-plotting to be exact. I feel like this editing project is draining me of all my creative, literary energy like some kind of vampire. Excuses, excuses. I don’t have time blah, blah, blah. You know what I need? I great big kick up the bum. Help, please?

(Speaking of vampires – and this is completely off topic, by the way – I went to that Edvard Munch exhibition at the Tate Modern the other day. Yeah, I know, I have time for a jaunt into London to wander around an art gallery, but I got an idea which is what I was looking for. Anyway, there was a painting called The Vampyre – two, actually – which was really interesting. It showed a couple in an embrace where the woman appeared to be on the man’s neck – hence the title. Also, there was another painting called The Kiss in which the couple were sort of blurring into each other. Sucking the life out of each other, perhaps. I’m not really going anywhere with this, I just thought it was interesting – in the non-British sense (i.e. literally interesting, not ‘interesting’/stupid.))

Anyone else go see Munch?

Also, any tips on motivation would be amazing.

Procrastination: Just Say No

Telling someone, including yourself, to just stop procrastinating and get on with it is about as helpful as telling an addict to just quit. You know you shouldn’t procrastinate, you know you should get on with whatever ‘it’ is but you can’t seem to make yourself.

One of my new favourite ways to procrastinate is to browse the ‘net about procrastination: why we do it and, more importantly, how to stop ourselves. There’s a lot of advice out there and at first I would believe in most of it. Thing is, though, I can’t seem to apply it. Some of it I do apply, for example, I now log my time-use. However, seeing as I procrastinate a lot, logging the vast amount of time I waste by procrastination tends to depress me. So, it doesn’t always work. Nowadays, I find myself reading advice and thinking: that’s great in theory but I know it wouldn’t work. It’s almost like I’ve given up on myself. Maybe I should just give in to the fact: I procrastinate.

Hello procrastinator’s anonymous, my name is Louise and I’m a procrastinator.

Would that do the trick? I doubt it. I mean, it’s not like I’m unaware or in denial about it. Procrastinators know they procrastinate, even when they’re not aware that they’re doing it at the time, they know that it’s something they do.

I’m tinkering with the concept that knowing why you are procrastinating at specific times might be the answer. Trouble is, stopping to ask yourself why you’re putting something off might be another form of procrastination – you are, after all, still delaying the getting on with it part. Hang on a minute, though, if that were procrastination, why would you want to put that off? Why would your mind turn away from it on impulse? Surely it would jump on it like a kitten on some wool if it were a form of procrastination. OK, so you would be delaying but it might turn out to be the last delaying act you do before truly being able to get on with it.

How do you do this, though? Asking is easy but what about answering? Could you even trust the answer?

More reasons not to do this – my brain is so against this idea, I’m almost convinced I’ve found the golden nugget of reason, so I’m giving it a try.

Music: off. I was enjoying that. Silence is kind of weird.

Closing eyes and thinking. Mind is wandering. Doesn’t help that I need to wee, now.

OK, you know what? I’m a writer. Thinking just doesn’t cut it for me, I need to write through my problems – that’s how I solve stories I’m stuck on.

So, that was rather revealing but I think it worked. (It was included in this post but it got a little too…personal, so I removed it.) I feel like it worked. I feel…motivated.

Have a go, yourself and tell me whether or not it worked out for you.